Excerpt:
Computed, not measured: a relaxed LiTl2CrO4 crystal at the GGA+U level of DFT. Values from VASP.

## Properties
E: -5.43 eV per atom
volume: 285.90 Å³/cell

Quantum ESPRESSO input file:
```
&SYSTEM
  ibrav = 0, nat = 16, ntyp = 4
/
ATOMIC_SPECIES
O 16.00 O.upf
Tl 204.38 Tl.upf
Li 6.94 Li.upf
Cr 52.00 Cr.upf
CELL_PARAMETERS angstrom
4.973 0.000 0.000
2.487 5.776 0.000
2.487 0.000 9.953
ATOMIC_POSITIONS crystal
O 0.424 0.678 0.412
Tl 0.824 0.000 0.352
O 0.237 0.178 0.912
Li 0.000 0.000 0.000
O 0.326 0.822 0.088
O 0.164 0.322 0.412
Tl 0.574 0.500 0.852
O 0.851 0.822 0.912
O 0.899 0.678 0.588
Cr 0.500 0.000 0.000
O 0.586 0.178 0.088
O 0.513 0.322 0.588
Cr 0.250 0.500 0.500
Tl 0.926 0.500 0.148
Li 0.750 0.500 0.500
Tl 0.176 0.000 0.648
```

----------

Below is an optimized crystal structure of UMnGa5, with properties calculated at the GGA-PBE level.

Cell: 4.334 4.334 6.728 Å, 90.00 90.00 90.00°
Site moments in Bohr magnetons follow the coordinates.
Atoms (fractional coordinates):
Mn 0.000 0.000 0.500  2.39
Ga 0.000 0.500 0.697  -0.05
Ga 0.500 0.000 0.697  -0.05
Ga 0.500 0.000 0.303  -0.05
Ga 0.500 0.500 0.000  -0.01
Ga 0.000 0.500 0.303  -0.05
U 0.000 0.000 0.000  -1.85

Output
Crystal system: tetragonal
Uncorrected energy in eV per atom: -5.314
Theoretical density in g/cm3: 8.43
Space-group type: P4/mmm, No. 123
Formation energy in eV/f.u.: -1.61

----------

[1]
A plane-wave DFT calculation with PBE-GGA was carried out for a geometry-optimized LaAl2Mo structure.

Values from the calculation:
* electronic total energy: -22.41 eV per formula unit
* symmetry: C2/m
* density of states at the Fermi level: 3.22 states/eV/cell

abc: 5.2868 5.2868 3.0326
angles: 87.45 87.45 108.77
Closest atoms and distances in Å follow each position.
Fractional coordinates of all 4 atoms:
Mo 0.0000 0.5000 0.5000  8 Al 2.99-3.11, 2 Mo 3.03, 2 La 3.08
Al 0.0000 0.0000 0.0000  4 La 2.99-3.11, 4 Mo 2.99-3.11, 4 Al 3.03-3.08
Al 0.5000 0.5000 0.0000  4 Mo 2.99-3.11, 4 La 2.99-3.11, 4 Al 3.03-3.08
La 0.5000 0.0000 0.5000  8 Al 2.99-3.11, 2 La 3.03, 2 Mo 3.08

***

[2]
A plane-wave DFT calculation with PBE-GGA was carried out for a geometry-optimized LaAlMo3 structure.

Values from the calculation:
* electronic total energy: -35.44 eV per formula unit
* symmetry: Pm-3m
* density of states at the Fermi level: 7.09 states/eV/cell

abc: 4.7492 4.7492 4.7492
angles: 90.00 90.00 90.00
Closest atoms and distances in Å follow each position.
Fractional coordinates of all 5 atoms:
Mo 0.0000 0.5000 0.0000  2 Al 2.37
Mo 0.0000 0.0000 0.5000  2 Al 2.37
Mo 0.5000 0.0000 0.0000  2 Al 2.37
Al 0.0000 0.0000 0.0000  6 Mo 2.37
La 0.5000 0.5000 0.5000  12 Mo 3.36

----------

No. 1
{
  "formula": "DyMg2",
  "functional": "PBE",
  "state": "optimized geometry",
  "crystal_system": "cubic",
  "total_energy_ev_per_atom": -2.666,
  "formation_enthalpy_0k_ev_per_atom": -0.07,
  "lattice": [[-0.902, 5.501, 2.299], [-3.035, 0.646, 5.170], [2.903, 1.687, 5.009]],
  "species": ["Mg", "Mg", "Dy", "Mg", "Mg", "Dy"],
  "fractional_positions": [[0.500, 0.500, 0.500], [0.000, 0.500, 0.500], [0.625, 0.125, 0.125], [0.000, 0.500, 0.000], [0.000, 0.000, 0.500], [0.375, 0.875, 0.875]]
}

=====

No. 2
{
  "formula": "Al3ZnPd",
  "functional": "PBE",
  "state": "optimized geometry",
  "crystal_system": "cubic",
  "total_energy_ev_per_atom": -3.503,
  "formation_enthalpy_0k_ev_per_atom": 0.04,
  "lattice": [[-4.528, 0.912, 1.147], [0.968, -0.939, 4.564], [1.101, 4.576, 0.708]],
  "species": ["Pd", "Zn", "Al", "Al", "Al"],
  "fractional_positions": [[0.000, 0.000, 0.000], [0.500, 0.500, 0.500], [0.500, 0.000, 0.000], [0.000, 0.000, 0.500], [0.000, 0.500, 0.000]]
}

=====

No. 3
{
  "formula": "SiAs2Br",
  "functional": "PBE",
  "state": "optimized geometry",
  "raw_formation_energy_ev_per_atom": 0.111,
  "crystal_system": "monoclinic",
  "total_energy_ev_per_atom": -3.988,
  "lattice": [[-3.608, -1.443, 2.103], [-2.438, -3.641, -0.564], [2.243, -5.615, 5.613]],

Request:
It remains to find the line further up that holds "-1.85", then give back that line and all lines after it there.

Result:
U 0.000 0.000 0.000  -1.85

Output
Crystal system: tetragonal
Uncorrected energy in eV per atom: -5.314
Theoretical density in g/cm3: 8.43
Space-group type: P4/mmm, No. 123
Formation energy in eV/f.u.: -1.61

----------

[1]
A plane-wave DFT calculation with PBE-GGA was carried out for a geometry-optimized LaAl2Mo structure.

Values from the calculation:
* electronic total energy: -22.41 eV per formula unit
* symmetry: C2/m
* density of states at the Fermi level: 3.22 states/eV/cell

abc: 5.2868 5.2868 3.0326
angles: 87.45 87.45 108.77
Closest atoms and distances in Å follow each position.
Fractional coordinates of all 4 atoms:
Mo 0.0000 0.5000 0.5000  8 Al 2.99-3.11, 2 Mo 3.03, 2 La 3.08
Al 0.0000 0.0000 0.0000  4 La 2.99-3.11, 4 Mo 2.99-3.11, 4 Al 3.03-3.08
Al 0.5000 0.5000 0.0000  4 Mo 2.99-3.11, 4 La 2.99-3.11, 4 Al 3.03-3.08
La 0.5000 0.0000 0.5000  8 Al 2.99-3.11, 2 La 3.03, 2 Mo 3.08

***

[2]
A plane-wave DFT calculation with PBE-GGA was carried out for a geometry-optimized LaAlMo3 structure.

Values from the calculation:
* electronic total energy: -35.44 eV per formula unit
* symmetry: Pm-3m
* density of states at the Fermi level: 7.09 states/eV/cell

abc: 4.7492 4.7492 4.7492
angles: 90.00 90.00 90.00
Closest atoms and distances in Å follow each position.
Fractional coordinates of all 5 atoms:
Mo 0.0000 0.5000 0.0000  2 Al 2.37
Mo 0.0000 0.0000 0.5000  2 Al 2.37
Mo 0.5000 0.0000 0.0000  2 Al 2.37
Al 0.0000 0.0000 0.0000  6 Mo 2.37
La 0.5000 0.5000 0.5000  12 Mo 3.36

----------

No. 1
{
  "formula": "DyMg2",
  "functional": "PBE",
  "state": "optimized geometry",
  "crystal_system": "cubic",
  "total_energy_ev_per_atom": -2.666,
  "formation_enthalpy_0k_ev_per_atom": -0.07,
  "lattice": [[-0.902, 5.501, 2.299], [-3.035, 0.646, 5.170], [2.903, 1.687, 5.009]],
  "species": ["Mg", "Mg", "Dy", "Mg", "Mg", "Dy"],
  "fractional_positions": [[0.500, 0.500, 0.500], [0.000, 0.500, 0.500], [0.625, 0.125, 0.125], [0.000, 0.500, 0.000], [0.000, 0.000, 0.500], [0.375, 0.875, 0.875]]
}

=====

No. 2
{
  "formula": "Al3ZnPd",
  "functional": "PBE",
  "state": "optimized geometry",
  "crystal_system": "cubic",
  "total_energy_ev_per_atom": -3.503,
  "formation_enthalpy_0k_ev_per_atom": 0.04,
  "lattice": [[-4.528, 0.912, 1.147], [0.968, -0.939, 4.564], [1.101, 4.576, 0.708]],
  "species": ["Pd", "Zn", "Al", "Al", "Al"],
  "fractional_positions": [[0.000, 0.000, 0.000], [0.500, 0.500, 0.500], [0.500, 0.000, 0.000], [0.000, 0.000, 0.500], [0.000, 0.500, 0.000]]
}

=====

No. 3
{
  "formula": "SiAs2Br",
  "functional": "PBE",
  "state": "optimized geometry",
  "raw_formation_energy_ev_per_atom": 0.111,
  "crystal_system": "monoclinic",
  "total_energy_ev_per_atom": -3.988,
  "lattice": [[-3.608, -1.443, 2.103], [-2.438, -3.641, -0.564], [2.243, -5.615, 5.613]],